**Input:**
+++
Record 1
DFT (ωB97M-V/def2-TZVPD) results for C32H27AuN5O2S3 as an isolated structure.

The net charge is +1. The value obtained for the energy relative to the best compared isomer or geometry (same formula, charge and spin) is 0.0 kJ/mol. Its HOMO energy is -9.96 eV.

CARTESIAN COORDINATES (ANGSTROEM)
Au: -0.3633 0.2077 -0.2562
O: 3.9377 -0.5938 -1.0985
C: 4.4847 -0.4425 0.1392
C: 5.8672 -0.5735 0.2375
C: 6.4929 -0.4426 1.4602
C: 5.7475 -0.1778 2.6066
C: 4.3783 -0.0501 2.5097
C: 3.7178 -0.1783 1.2825
C: 2.2398 -0.0432 1.2302
O: 1.7070 -0.0342 0.0182
N: 1.5968 0.0690 2.3431
N: 0.2220 0.1784 2.1906
C: -0.4196 0.2190 3.2896
S: -2.1633 0.4317 3.2559
C: -2.3911 -0.0755 4.9803
C: -1.2152 0.4663 5.7717
S: 0.3150 0.0863 4.8720
H: 2.9837 -0.3959 -0.9923
H: 6.4291 -0.7745 -0.6648
H: 7.5683 -0.5449 1.5222
H: 6.2356 -0.0741 3.5653
H: 3.7781 0.1525 3.3856
H: -2.4372 -1.1623 5.0332
H: -3.3348 0.3416 5.3285
H: -1.1472 -0.0057 6.7510
H: -1.2967 1.5447 5.9035
C: -4.5653 -0.3773 -1.1005
C: -5.0613 0.8844 -0.8172
C: -4.1942 1.8883 -0.4175
C: -2.8308 1.6349 -0.3103
C: -2.3323 0.3588 -0.6037
C: -3.2042 -0.6468 -0.9866
C: -1.8525 2.6546 0.0828
C: -2.2235 3.9278 0.5567
C: -1.2582 4.8182 0.9073
C: 0.1029 4.4900 0.7352
C: 1.1335 5.4099 1.0302
C: 2.4383 5.0835 0.8034
C: 2.7531 3.8280 0.2489
C: 1.7779 2.9124 -0.0383
C: 0.4284 3.2118 0.2288
N: -0.5742 2.3012 -0.0288
H: -5.2371 -1.1687 -1.4060
H: -6.1194 1.0880 -0.9053
H: -4.5900 2.8710 -0.2012
H: -2.8508 -1.6470 -1.1861
H: -3.2680 4.1723 0.6675
H: -1.5214 5.7908 1.3040
H: 0.8616 6.3786 1.4298
H: 3.2269 5.7875 1.0294
H: 3.7848 3.5779 0.0396
H: 2.0373 1.9630 -0.4757
N: 0.1159 -1.4308 -3.1400
C: 0.5466 -2.1255 -2.0968
S: -0.2904 -2.0936 -0.5671
N: 1.5967 -2.9200 -2.2040
C: 2.3108 -3.1747 -3.4273
C: 3.6508 -2.8291 -3.5068
C: 4.3366 -3.0949 -4.6834
C: 3.6861 -3.6833 -5.7584
C: 2.3435 -4.0237 -5.6621
C: 1.6487 -3.7791 -4.4873
H: -0.6847 -0.8304 -3.0278
H: 0.6364 -1.4142 -4.0049
H: 1.9682 -3.2824 -1.3367
H: 4.1348 -2.3475 -2.6661
H: 5.3833 -2.8344 -4.7591
H: 4.2276 -3.8839 -6.6726
H: 1.8397 -4.4964 -6.4939
H: 0.6112 -4.0726 -4.3858



Record 2
DFT (ωB97M-V/def2-TZVPD) results for an isolated ion of composition C7H9N2O2 and charge -1.

Its expectation value of S² is 2.01. The spin multiplicity is 3. The net charge is -1. The value obtained for the energy relative to the best compared isomer or geometry (same formula, charge and spin) is 205.8 kJ/mol. Its HOMO energy (spin up / spin down) is -2.72 / -2.77 eV.

CARTESIAN COORDINATES (ANGSTROEM)
C: -1.0523 0.9062 0.0557
C: 0.1798 0.6987 -0.5362
C: 1.9825 -0.9122 -0.6878
C: 3.2164 -1.2696 -0.6216
C: -1.9269 -0.3375 0.7557
C: 0.6397 1.8441 -1.4227
C: -1.1841 -0.7309 2.0495
N: 0.8704 -0.5018 -0.4406
N: -1.8852 -1.1550 -0.3756
O: -2.9539 -1.2145 -1.0249
O: -1.5477 1.9858 0.2902
H: 3.6603 -2.0637 -1.1976
H: 3.7755 -1.1879 0.2863
H: -2.9278 0.0877 0.8041
H: -0.0849 2.6353 -1.5235
H: 0.9256 1.5309 -2.4693
H: 1.4659 2.2631 -0.8774
H: -1.4494 0.0115 2.7720
H: -0.0842 -0.7933 1.7856
H: -1.6198 -1.7970 2.3778



Record 3
DFT (ωB97M-V/def2-TZVPD) results for a 7-piece molecular cluster, C39H88N4O7 overall.

As for the SMILES: CC1(C)CCCC(C)(C)N1O.CC1(C)CCCC(C)(C)N1O.CC1(C)CCCC(C)(C)N1O.CC1(C)CCCC(C)(C)N1O.CO.CO.CO. The value obtained for the energy relative to the best compared isomer or geometry (same formula, charge and spin) is 328.5 kJ/mol. Its HOMO energy is -8.09 eV.

CARTESIAN COORDINATES (ANGSTROEM)
C: -4.3650 -1.5911 2.3592
C: -4.5428 -1.3799 0.8584
C: -5.9231 -1.9005 0.4442
C: -4.3511 0.0806 0.5745
C: -4.3363 0.3581 -0.9198
C: -3.1742 -0.4346 -1.6225
C: -3.2339 -1.9687 -1.2763
C: -4.3665 -2.6522 -2.0537
C: -1.8532 -2.5601 -1.5837
N: -3.3389 -2.0550 0.1817
O: -3.3862 -3.4865 0.5351
H: -3.2820 -1.4106 2.6139
H: -4.9197 -0.8889 3.0065
H: -4.6962 -2.6245 2.6513
H: -6.2153 -1.4252 -0.4699
H: -5.9089 -2.9961 0.4590
H: -6.6808 -1.6044 1.1917
H: -5.0928 0.6574 1.1315
H: -3.3269 0.2747 0.8917
H: -5.2968 0.0983 -1.3972
H: -4.0842 1.3471 -1.1516
H: -2.2020 -0.0786 -1.2744
+++
**Work order:**
Start at the top of the material further above and quote each line, ending with the one that has "-4.6962 -2.6245".
**Solution:**
Record 1
DFT (ωB97M-V/def2-TZVPD) results for C32H27AuN5O2S3 as an isolated structure.

The net charge is +1. The value obtained for the energy relative to the best compared isomer or geometry (same formula, charge and spin) is 0.0 kJ/mol. Its HOMO energy is -9.96 eV.

CARTESIAN COORDINATES (ANGSTROEM)
Au: -0.3633 0.2077 -0.2562
O: 3.9377 -0.5938 -1.0985
C: 4.4847 -0.4425 0.1392
C: 5.8672 -0.5735 0.2375
C: 6.4929 -0.4426 1.4602
C: 5.7475 -0.1778 2.6066
C: 4.3783 -0.0501 2.5097
C: 3.7178 -0.1783 1.2825
C: 2.2398 -0.0432 1.2302
O: 1.7070 -0.0342 0.0182
N: 1.5968 0.0690 2.3431
N: 0.2220 0.1784 2.1906
C: -0.4196 0.2190 3.2896
S: -2.1633 0.4317 3.2559
C: -2.3911 -0.0755 4.9803
C: -1.2152 0.4663 5.7717
S: 0.3150 0.0863 4.8720
H: 2.9837 -0.3959 -0.9923
H: 6.4291 -0.7745 -0.6648
H: 7.5683 -0.5449 1.5222
H: 6.2356 -0.0741 3.5653
H: 3.7781 0.1525 3.3856
H: -2.4372 -1.1623 5.0332
H: -3.3348 0.3416 5.3285
H: -1.1472 -0.0057 6.7510
H: -1.2967 1.5447 5.9035
C: -4.5653 -0.3773 -1.1005
C: -5.0613 0.8844 -0.8172
C: -4.1942 1.8883 -0.4175
C: -2.8308 1.6349 -0.3103
C: -2.3323 0.3588 -0.6037
C: -3.2042 -0.6468 -0.9866
C: -1.8525 2.6546 0.0828
C: -2.2235 3.9278 0.5567
C: -1.2582 4.8182 0.9073
C: 0.1029 4.4900 0.7352
C: 1.1335 5.4099 1.0302
C: 2.4383 5.0835 0.8034
C: 2.7531 3.8280 0.2489
C: 1.7779 2.9124 -0.0383
C: 0.4284 3.2118 0.2288
N: -0.5742 2.3012 -0.0288
H: -5.2371 -1.1687 -1.4060
H: -6.1194 1.0880 -0.9053
H: -4.5900 2.8710 -0.2012
H: -2.8508 -1.6470 -1.1861
H: -3.2680 4.1723 0.6675
H: -1.5214 5.7908 1.3040
H: 0.8616 6.3786 1.4298
H: 3.2269 5.7875 1.0294
H: 3.7848 3.5779 0.0396
H: 2.0373 1.9630 -0.4757
N: 0.1159 -1.4308 -3.1400
C: 0.5466 -2.1255 -2.0968
S: -0.2904 -2.0936 -0.5671
N: 1.5967 -2.9200 -2.2040
C: 2.3108 -3.1747 -3.4273
C: 3.6508 -2.8291 -3.5068
C: 4.3366 -3.0949 -4.6834
C: 3.6861 -3.6833 -5.7584
C: 2.3435 -4.0237 -5.6621
C: 1.6487 -3.7791 -4.4873
H: -0.6847 -0.8304 -3.0278
H: 0.6364 -1.4142 -4.0049
H: 1.9682 -3.2824 -1.3367
H: 4.1348 -2.3475 -2.6661
H: 5.3833 -2.8344 -4.7591
H: 4.2276 -3.8839 -6.6726
H: 1.8397 -4.4964 -6.4939
H: 0.6112 -4.0726 -4.3858



Record 2
DFT (ωB97M-V/def2-TZVPD) results for an isolated ion of composition C7H9N2O2 and charge -1.

Its expectation value of S² is 2.01. The spin multiplicity is 3. The net charge is -1. The value obtained for the energy relative to the best compared isomer or geometry (same formula, charge and spin) is 205.8 kJ/mol. Its HOMO energy (spin up / spin down) is -2.72 / -2.77 eV.

CARTESIAN COORDINATES (ANGSTROEM)
C: -1.0523 0.9062 0.0557
C: 0.1798 0.6987 -0.5362
C: 1.9825 -0.9122 -0.6878
C: 3.2164 -1.2696 -0.6216
C: -1.9269 -0.3375 0.7557
C: 0.6397 1.8441 -1.4227
C: -1.1841 -0.7309 2.0495
N: 0.8704 -0.5018 -0.4406
N: -1.8852 -1.1550 -0.3756
O: -2.9539 -1.2145 -1.0249
O: -1.5477 1.9858 0.2902
H: 3.6603 -2.0637 -1.1976
H: 3.7755 -1.1879 0.2863
H: -2.9278 0.0877 0.8041
H: -0.0849 2.6353 -1.5235
H: 0.9256 1.5309 -2.4693
H: 1.4659 2.2631 -0.8774
H: -1.4494 0.0115 2.7720
H: -0.0842 -0.7933 1.7856
H: -1.6198 -1.7970 2.3778



Record 3
DFT (ωB97M-V/def2-TZVPD) results for a 7-piece molecular cluster, C39H88N4O7 overall.

As for the SMILES: CC1(C)CCCC(C)(C)N1O.CC1(C)CCCC(C)(C)N1O.CC1(C)CCCC(C)(C)N1O.CC1(C)CCCC(C)(C)N1O.CO.CO.CO. The value obtained for the energy relative to the best compared isomer or geometry (same formula, charge and spin) is 328.5 kJ/mol. Its HOMO energy is -8.09 eV.

CARTESIAN COORDINATES (ANGSTROEM)
C: -4.3650 -1.5911 2.3592
C: -4.5428 -1.3799 0.8584
C: -5.9231 -1.9005 0.4442
C: -4.3511 0.0806 0.5745
C: -4.3363 0.3581 -0.9198
C: -3.1742 -0.4346 -1.6225
C: -3.2339 -1.9687 -1.2763
C: -4.3665 -2.6522 -2.0537
C: -1.8532 -2.5601 -1.5837
N: -3.3389 -2.0550 0.1817
O: -3.3862 -3.4865 0.5351
H: -3.2820 -1.4106 2.6139
H: -4.9197 -0.8889 3.0065
H: -4.6962 -2.6245 2.6513